Type out the listing below with every line break kept.

Entry 1:
Sc7Au3 | PBE | relaxed

Geometry as POSCAR:
```
Sc7Au3
1.0
-4.8343 4.8343 4.8343
4.8343 -4.8343 4.8343
4.8343 4.8343 -4.8343
Au Sc
6 14
direct
0.3469 0.3469 0.0000
0.6531 0.6531 0.0000
0.3469 0.0000 0.3469
0.0000 0.3469 0.3469
0.6531 0.0000 0.6531
0.0000 0.6531 0.6531
0.3232 0.0000 0.0000
0.6768 0.0000 0.0000
0.0000 0.3232 0.0000
0.0000 0.6768 0.0000
0.7500 0.5000 0.2500
0.5000 0.7500 0.2500
0.0000 0.0000 0.3232
0.3232 0.3232 0.3232
0.7500 0.2500 0.5000
0.2500 0.7500 0.5000
0.0000 0.0000 0.6768
0.6768 0.6768 0.6768
0.5000 0.2500 0.7500
0.2500 0.5000 0.7500
```

Output
space-group type = Im-3m (229)
DFT formation energy = -0.398 eV/atom

Entry 2:
Sc7Au3 | PBE | relaxed

Geometry as POSCAR:
```
Sc7Au3
1.0
9.3377 0.0000 0.0000
-4.6688 8.0867 0.0000
0.0000 0.0000 5.9380
Au Sc
6 14
direct
0.3864 0.1932 0.3208
0.8068 0.1932 0.3208
0.8068 0.6136 0.3208
0.1932 0.3864 0.8208
0.1932 0.8068 0.8208
0.6136 0.8068 0.8208
0.5343 0.0687 0.0417
0.5343 0.4657 0.0417
0.9313 0.4657 0.0417
0.3333 0.6667 0.0969
0.1297 0.2595 0.2671
0.1297 0.8703 0.2671
0.7405 0.8703 0.2671
0.0687 0.5343 0.5417
0.4657 0.5343 0.5417
0.4657 0.9313 0.5417
0.6667 0.3333 0.5969
0.2595 0.1297 0.7671
0.8703 0.1297 0.7671
0.8703 0.7405 0.7671
```

Output
space-group type = P6_3mc (186)
DFT formation energy = -0.485 eV/atom

Entry 3:
Sc2AuSe3 | PBE | relaxed

Geometry as POSCAR:
```
Sc2AuSe3
1.0
7.5200 0.0000 0.0000
0.0000 3.7301 0.0000
0.0000 0.0000 17.6692
Au Sc Se
4 8 12
direct
0.0617 0.7500 0.1035
0.5617 0.7500 0.3965
0.4383 0.2500 0.6035
0.9383 0.2500 0.8965
0.2279 0.2500 0.0042
0.4697 0.2500 0.1967
0.9697 0.2500 0.3033
0.7279 0.2500 0.4958
0.2721 0.7500 0.5042
0.0303 0.7500 0.6967
0.5303 0.7500 0.8033
0.7721 0.7500 0.9958
0.4474 0.7500 0.0815
0.7988 0.2500 0.1027
0.1982 0.7500 0.2410
0.6982 0.7500 0.2590
0.2988 0.2500 0.3973
0.9474 0.7500 0.4185
0.0526 0.2500 0.5815
0.7012 0.7500 0.6027
0.3018 0.2500 0.7410
0.8018 0.2500 0.7590
0.2012 0.7500 0.8973
0.5526 0.2500 0.9185
```

Output
VASP energy = -0.20278 Ha/atom
space-group type = Pnma (62)

Entry 4:
ScSnTeAuSe2 | PBE | relaxed

Geometry as POSCAR:
```
ScSnTeAuSe2
1.0
1.9894 -7.0740 0.0000
1.9894 7.0740 0.0000
0.0000 0.0000 10.7409
Au Sc Se Sn Te
2 2 4 2 2
direct
0.9657 0.0343 0.2500
0.0343 0.9657 0.7500
0.5000 0.5000 0.0000
0.5000 0.5000 0.5000
0.8666 0.1334 0.0438
0.8666 0.1334 0.4562
0.1334 0.8666 0.5438
0.1334 0.8666 0.9562
0.3002 0.6998 0.2500
0.6998 0.3002 0.7500
0.6028 0.3972 0.2500
0.3972 0.6028 0.7500
```

Output
VASP energy = -0.17070 Ha/atom
space-group type = Cmcm (63)

Entry 5:
ScSiAu | PBE | relaxed

Geometry as POSCAR:
```
ScSiAu
1.0
-3.8381 4.8321 -2.9085
1.3805 -5.7582 -3.3878
-3.3045 -1.6981 1.5396
Au Sc Si
3 3 3
direct
0.6667 0.3333 0.0000
0.3333 0.6667 0.0000
0.0000 0.0000 0.5000
0.5919 0.0000 0.5000
0.4081 0.4081 0.5000
0.0000 0.5919 0.5000
0.2641 0.0000 0.0000
0.0000 0.2641 0.0000
0.7359 0.7359 0.0000
```

Output
VASP energy = -0.20613 Ha/atom
space-group type = P-62m (189)

Entry 6:
ScSiAu | PBE | relaxed

Geometry as POSCAR:
```
ScSiAu
1.0
-3.0440 -4.5183 -4.0229
1.0210 -2.9653 2.5579
-9.8729 1.6247 5.8242
Au Sc Si
6 6 6
direct
0.5112 0.7500 0.0936
0.1311 0.7500 0.2075
0.6562 0.7500 0.4576
0.3438 0.2500 0.5424
0.8689 0.2500 0.7925
0.4888 0.2500 0.9064
0.8440 0.2500 0.0814
0.4786 0.2500 0.2920
0.9739 0.2500 0.3791
0.0261 0.7500 0.6209
0.5215 0.7500 0.7080
0.1560 0.7500 0.9186
0.2473 0.2500 0.0841
0.7676 0.7500 0.2510
0.2547 0.7500 0.4169
0.7453 0.2500 0.5831
0.2324 0.2500 0.7490
0.7527 0.7500 0.9159
```

Output
VASP energy = -0.21165 Ha/atom
space-group type = P2_1/m (11)

Quick rundown of M_tot, same order as above: 1.439; 3.145; 0.000; 0.000; 0.000; 0.003 μB per formula unit


No. 1
Compound: Ac5InTe8
Source: Alexandria via LeMat-Bulk
Functional: PBE
Structure: relaxed

Lattice parameters (Å, degrees): 8.6749 8.6749 8.6749 109.37 109.37 109.67
With the nearest neighbours (Å) after each atom.
Fractional coordinates of all 14 atoms:
Ac (0.0000, 0.0000, 0.0000)  8 Te 3.38-3.50

Entry 1:
Sc7Au3 | PBE | relaxed

Geometry as POSCAR:
```
Sc7Au3
1.0
-4.8343 4.8343 4.8343
4.8343 -4.8343 4.8343
4.8343 4.8343 -4.8343
Au Sc
6 14
direct
0.3469 0.3469 0.0000
0.6531 0.6531 0.0000
0.3469 0.0000 0.3469
0.0000 0.3469 0.3469
0.6531 0.0000 0.6531
0.0000 0.6531 0.6531
0.3232 0.0000 0.0000
0.6768 0.0000 0.0000
0.0000 0.3232 0.0000
0.0000 0.6768 0.0000
0.7500 0.5000 0.2500
0.5000 0.7500 0.2500
0.0000 0.0000 0.3232
0.3232 0.3232 0.3232
0.7500 0.2500 0.5000
0.2500 0.7500 0.5000
0.0000 0.0000 0.6768
0.6768 0.6768 0.6768
0.5000 0.2500 0.7500
0.2500 0.5000 0.7500
```

Output
space-group type = Im-3m (229)
DFT formation energy = -0.398 eV/atom

Entry 2:
Sc7Au3 | PBE | relaxed

Geometry as POSCAR:
```
Sc7Au3
1.0
9.3377 0.0000 0.0000
-4.6688 8.0867 0.0000
0.0000 0.0000 5.9380
Au Sc
6 14
direct
0.3864 0.1932 0.3208
0.8068 0.1932 0.3208
0.8068 0.6136 0.3208
0.1932 0.3864 0.8208
0.1932 0.8068 0.8208
0.6136 0.8068 0.8208
0.5343 0.0687 0.0417
0.5343 0.4657 0.0417
0.9313 0.4657 0.0417
0.3333 0.6667 0.0969
0.1297 0.2595 0.2671
0.1297 0.8703 0.2671
0.7405 0.8703 0.2671
0.0687 0.5343 0.5417
0.4657 0.5343 0.5417
0.4657 0.9313 0.5417
0.6667 0.3333 0.5969
0.2595 0.1297 0.7671
0.8703 0.1297 0.7671
0.8703 0.7405 0.7671
```

Output
space-group type = P6_3mc (186)
DFT formation energy = -0.485 eV/atom

Entry 3:
Sc2AuSe3 | PBE | relaxed

Geometry as POSCAR:
```
Sc2AuSe3
1.0
7.5200 0.0000 0.0000
0.0000 3.7301 0.0000
0.0000 0.0000 17.6692
Au Sc Se
4 8 12
direct
0.0617 0.7500 0.1035
0.5617 0.7500 0.3965
0.4383 0.2500 0.6035
0.9383 0.2500 0.8965
0.2279 0.2500 0.0042
0.4697 0.2500 0.1967
0.9697 0.2500 0.3033
0.7279 0.2500 0.4958
0.2721 0.7500 0.5042
0.0303 0.7500 0.6967
0.5303 0.7500 0.8033
0.7721 0.7500 0.9958
0.4474 0.7500 0.0815
0.7988 0.2500 0.1027
0.1982 0.7500 0.2410
0.6982 0.7500 0.2590
0.2988 0.2500 0.3973
0.9474 0.7500 0.4185
0.0526 0.2500 0.5815
0.7012 0.7500 0.6027
0.3018 0.2500 0.7410
0.8018 0.2500 0.7590
0.2012 0.7500 0.8973
0.5526 0.2500 0.9185
```

Output
VASP energy = -0.20278 Ha/atom
space-group type = Pnma (62)

Entry 4:
ScSnTeAuSe2 | PBE | relaxed

Geometry as POSCAR:
```
ScSnTeAuSe2
1.0
1.9894 -7.0740 0.0000
1.9894 7.0740 0.0000
0.0000 0.0000 10.7409
Au Sc Se Sn Te
2 2 4 2 2
direct
0.9657 0.0343 0.2500
0.0343 0.9657 0.7500
0.5000 0.5000 0.0000
0.5000 0.5000 0.5000
0.8666 0.1334 0.0438
0.8666 0.1334 0.4562
0.1334 0.8666 0.5438
0.1334 0.8666 0.9562
0.3002 0.6998 0.2500
0.6998 0.3002 0.7500
0.6028 0.3972 0.2500
0.3972 0.6028 0.7500
```

Output
VASP energy = -0.17070 Ha/atom
space-group type = Cmcm (63)

Entry 5:
ScSiAu | PBE | relaxed

Geometry as POSCAR:
```
ScSiAu
1.0
-3.8381 4.8321 -2.9085
1.3805 -5.7582 -3.3878
-3.3045 -1.6981 1.5396
Au Sc Si
3 3 3
direct
0.6667 0.3333 0.0000
0.3333 0.6667 0.0000
0.0000 0.0000 0.5000
0.5919 0.0000 0.5000
0.4081 0.4081 0.5000
0.0000 0.5919 0.5000
0.2641 0.0000 0.0000
0.0000 0.2641 0.0000
0.7359 0.7359 0.0000
```

Output
VASP energy = -0.20613 Ha/atom
space-group type = P-62m (189)

Entry 6:
ScSiAu | PBE | relaxed

Geometry as POSCAR:
```
ScSiAu
1.0
-3.0440 -4.5183 -4.0229
1.0210 -2.9653 2.5579
-9.8729 1.6247 5.8242
Au Sc Si
6 6 6
direct
0.5112 0.7500 0.0936
0.1311 0.7500 0.2075
0.6562 0.7500 0.4576
0.3438 0.2500 0.5424
0.8689 0.2500 0.7925
0.4888 0.2500 0.9064
0.8440 0.2500 0.0814
0.4786 0.2500 0.2920
0.9739 0.2500 0.3791
0.0261 0.7500 0.6209
0.5215 0.7500 0.7080
0.1560 0.7500 0.9186
0.2473 0.2500 0.0841
0.7676 0.7500 0.2510
0.2547 0.7500 0.4169
0.7453 0.2500 0.5831
0.2324 0.2500 0.7490
0.7527 0.7500 0.9159
```

Output
VASP energy = -0.21165 Ha/atom
space-group type = P2_1/m (11)

Quick rundown of M_tot, same order as above: 1.439; 3.145; 0.000; 0.000; 0.000; 0.003 μB per formula unit


No. 1
Compound: Ac5InTe8
Source: Alexandria via LeMat-Bulk
Functional: PBE
Structure: relaxed

Lattice parameters (Å, degrees): 8.6749 8.6749 8.6749 109.37 109.37 109.67
With the nearest neighbours (Å) after each atom.
Fractional coordinates of all 14 atoms:
Ac (0.0000, 0.0000, 0.0000)  8 Te 3.38-3.50